Chapter 170 : Doom's Graduation Project

"Odin, the old guy, occasionally does good things," Loki said.

Bert smiled and replied, "Alright, that's it. I'll let Tony and the others cooperate with you."

Loki warned, "Don't cooperate too much. I don't care how many frost giants the dark elves kill."

"Besides, don't tell Thor that I'm an undercover agent. He's an idiot and might leak it," Loki added.

"You just want Thor to hunt you down in a fit of rage?" Bert asked, complaining. He shook his head and then told Tony and Steve about the situation individually. After discussing it, they both agreed.

Bert looked at the Aether in the Tesseract, his eyes flashing. Loki couldn't be trusted completely, so he still had to leave behind something.

"Aether, I want to make a wish," Bert said to the Aether. "I won't devour you if you agree to two conditions."

The Aether particles shook violently and flew around inside the Tesseract as if they were very angry. "Are you threatening me?" they seemed to say.

Bert smiled lightly and replied, "Yes, I am threatening you. And I think my threat is very valuable."

After the Aether bared its teeth and claws at Bert, it fell still again. Bert knew that it had agreed to his terms.

"The first condition is that I can call you back at any time, as long as I want," Bert said. "The second condition is that I want to incorporate a mass of blood into your particles. You must ensure that the mass of blood is not discovered, and you must send me information at any time."

The Aether flashed with light, accepting Bert's conditions.

Bert nodded in satisfaction and merged a cloud of blood into the Aether. He then thought for a moment and changed positions with his projection.

More than ten minutes later, the Aether suddenly flew out of the void and Malekith's sad and angry voice sounded, "Algrim, complete the great cause of our dark elves."

Algrim didn't answer because his head had been chopped off by Elektra, and the Kursed warriors had been wiped out.

== Calculated crystals, kept here for reference ==
<<<
Simulated PXRD pattern
Compound: LaNi4Mo
Radiation: Cu Kα X-rays
Structure: the PBE geometry in Alexandria
No peak broadening, texture or thermal motion is included.

Cell and atoms:
a b c (Å): 7.074 7.074 7.074
angles (deg): 90.00 90.00 90.00
Space group F-43m (No. 216)
Unique sites:
La1 0.000 0.000 0.000
Ni1 0.123 0.123 0.377
Mo1 0.250 0.250 0.750

Main lines, sorted by position (15 to 90 degrees two-theta):
2theta, intensity, index
21.76, 4, 1 1 1
25.18, 2, 2 0 0
35.91, 50, 2 2 0
42.38, 100, 3 1 1
44.36, 23, 2 2 2
56.72, 1, 3 3 1
64.54, 18, 4 2 2
68.98, 30, 5 1 1
76.12, 23, 4 4 0
87.14, 8, 6 2 0

----------

1.
Starting from a structure optimized by DFT (PBE), the PXRD pattern of Sb3C4 was simulated for copper Kα.
No peak broadening, texture or thermal motion is included.

Atomic structure:
```
Sb3C4
1.0
4.9185 0.0000 0.0000
0.0000 4.9185 0.0000
0.0000 0.0000 4.9185
Sb C
3 4
Cartesian
0.0000 0.0000 2.4593
0.0000 2.4593 0.0000
2.4593 0.0000 0.0000
1.2688 1.2688 1.2688
1.2688 3.6497 3.6497
3.6497 1.2688 3.6497
3.6497 3.6497 1.2688
```

Top 10 peaks for 10° ≤ 2θ ≤ 80°, in order of rising 2θ:
2theta	d [Å]	I_rel	index
18.04	4.919	313	1 0 0
25.61	3.478	280	1 1 0
31.50	2.840	1000	1 1 1
36.54	2.459	388	2 0 0
41.03	2.200	164	2 1 0
45.15	2.008	120	2 1 1
52.63	1.739	408	2 2 0
56.10	1.640	77	3 0 0
62.64	1.483	402	3 1 1
65.77	1.420	96	2 2 2

=====

2.
Starting from a structure optimized by DFT (PBE), the PXRD pattern of SbC was simulated for copper Kα.
No peak broadening, texture or thermal motion is included.

Atomic structure:
```
SbC
1.0
4.1634 0.0000 0.0000
0.0028 4.5753 0.0000
2.0496 1.0996 5.4088
Sb C
2 2
Cartesian
1.0260 1.5378 1.6344
5.1898 4.1371 3.7744
2.4438 2.8374 2.7044
3.7719 2.8375 2.7044
```

Top 10 peaks for 10° ≤ 2θ ≤ 80°, in order of rising 2θ:
2theta	d [Å]	I_rel	index
16.39	5.409	356	0 0 1
22.89	3.886	1000	1 0 0
23.11	3.849	563	0 1 1
28.27	3.157	583	0 1 -1
29.32	3.046	295	1 1 1
33.12	2.704	167	0 0 2
35.82	2.507	288	-1 1 1
35.96	2.498	283	1 1 2
45.23	2.005	249	1 -2 0
47.23	1.925	204	1 0 -2

=====

3.
Starting from a structure optimized by DFT (PBE), the PXRD pattern of SbC was simulated for copper Kα.
No peak broadening, texture or thermal motion is included.

Atomic structure:
```
SbC
1.0
4.7187 0.0000 0.0000
0.0000 4.1639 0.0000
-0.7640 0.0000 5.2359
Sb C
2 2
Cartesian
0.9363 0.0000 1.5732
3.0183 0.0000 3.6627
-0.3820 1.4165 2.6180
-0.3820 2.7474 2.6180
```

Top 10 peaks for 10° ≤ 2θ ≤ 80°, in order of rising 2θ:
2theta	d [Å]	I_rel	index
16.93	5.236	342	0 0 1
21.34	4.164	1000	0 1 0
23.63	3.765	622	1 0 -1
27.37	3.259	753	1 0 1
32.05	2.793	791	1 1 -1
34.96	2.566	523	1 1 1
38.56	2.335	202	2 0 0
40.71	2.216	299	0 1 2
44.49	2.036	347	2 1 0
50.06	1.822	237	1 2 -1

=====

> What is the formula in the second record?

SbC

----------

[1]
For LaPdO4, a structure optimized by DFT (GGA-PBE) gives the calculated powder XRD pattern in this record (Cu Kα (λ = 1.5418 Å)).

Atomic structure:
abc: 6.362 6.362 6.362
angles: 35.36 35.36 35.36
>>>

"Malekith and Ebony Maw are also lost?" the dark elves asked in desperation, their last hope gone.

Loki suddenly appeared in the air and the Aether flew straight into her body. She turned to Thor and smiled, saying, "Stupid brother, let's fight again next time."

Thor smashed his hammer towards Loki and said, "Loki, don't run away."

Loki disdainfully smiled and a ray of light fell from the sky, taking her away in a Harrow battleship.

Loki instructed, "Dark elves and Chitauris, withdraw to the clock tower over there. I'll launch a formation to take you off the Earth."

However, a dark elf yelled, "No, we can't run away. We have to complete the plan."

Loki threw an ice spear against the elf and coldly shouted, "We have already lost. The most important thing now is to preserve our strength. What are you waiting for? Do you want the dark elves to be exterminated?"

The remaining dark elves looked at each other before choosing to follow Loki's orders and flee to the clock tower.

Seeing the dark elves escape, the Chitauri immediately followed, while the frost giants and fire giants had already been wiped out.

"Stop them, don't let them escape," Tony and Steve said, leading the army in pursuit. Soon, more than a dozen Harrow battleships fled to the clock tower, where Loki launched a magic circle and made all the battleships disappear.

The Chitauri who had followed closely was furious that Loki had used them as cannon fodder. However, they didn't know magic and had no way to escape. Steve, Tony, and the others sneered and surrounded the Chitauri.

Half an hour later, the Chitauri were wiped out, and the humans cheered in unison. They had won the battle, but the war was far from over.


Let's move backward in time, To Kamar-Taj.

"They're trying to drain our mana," Bert said to the Ancient One as they fought against the demons in the Kamar-Tajs' affiliated space. Blood flowed like a river as the mages fought against the endless waves of demons.

"Our biggest weakness is that there are so few of us and no backup," Bert added.

The Ancient One nodded and replied, "They are very determined this time. It seems they have a special move."

Bert asked, "Master, why don't you use the Time Stone to look into the future and see what's happening?"

The Ancient One sighed and said, "Time has begun to exclude me. I won't use the Time Stone until the critical moment."

Bert was puzzled and asked, "The Time Stone repels you? Master, the Infinity Stones are just objects, why do they have to be treated with such caution?"

Misplaced data records >
~~~
# 1
This entry pairs a crystal structure of Ta2Ni3Te5 with its theoretical powder diffraction line list. Radiation: Cu Kα, 1.54184 Å. Structure: a structure optimized by DFT (GGA-PBE).

Largest 12 diffraction maxima, in order of falling intensity, 2θ = 10–90°:
hkl  two_theta  intensity
2 0 0  12.38  1000
2 0 5  28.00  355
3 1 3  34.07  337
4 1 3  38.04  263
0 1 7  43.06  234
3 1 1  30.87  222
2 1 2  28.82  206
0 2 0  48.88  203
6 0 5  45.83  167
4 1 5  43.32  159
5 1 3  42.67  154
3 0 8  44.97  140

Cell and atoms:
a = 14.2949 Å, b = 3.7269 Å, c = 17.8016 Å
α = 90.00°, β = 90.00°, γ = 90.00°
Space group Pnma (No. 62)
Asymmetric unit:
Ta 0.2420 0.2500 0.1672 [4 per cell]
Ta 0.2440 0.2500 0.9111 [4 per cell]
Ni 0.1959 0.2500 0.3108 [4 per cell]
Ni 0.2005 0.2500 0.7676 [4 per cell]
Ni 0.2436 0.2500 0.5389 [4 per cell]
Te 0.1115 0.7500 0.2359 [4 per cell]
Te 0.1136 0.2500 0.4409 [4 per cell]
Te 0.1145 0.7500 0.8416 [4 per cell]
Te 0.1158 0.2500 0.6386 [4 per cell]
Te 0.1320 0.2500 0.0386 [4 per cell]



# 2
This entry pairs a crystal structure of ErAlFe with its theoretical powder diffraction line list. Radiation: Cu Kα, 1.54184 Å. Structure: a structure optimized by DFT (GGA-PBE).

Largest 12 diffraction maxima, in order of falling intensity, 2θ = 10–90°:
hkl  two_theta  intensity
3 0 2  37.06  1000
2 1 3  39.58  752
0 1 3  33.27  730
2 2 0  39.69  451
3 2 4  61.95  318
2 0 0  20.84  314
0 2 0  33.38  301
5 2 2  68.16  278
1 2 2  40.17  265
1 1 1  21.75  248
0 1 1  19.05  235
5 1 1  57.57  207

Cell and atoms:
a = 8.5235 Å, b = 5.3679 Å, c = 9.3404 Å
α = 90.00°, β = 90.00°, γ = 90.00°
Space group Amm2 (No. 38)
Asymmetric unit:
Er 0.1845 0.0000 0.0000 [4 per cell]
Er 0.3006 0.0000 0.6701 [4 per cell]
Al 0.0000 0.0000 0.4974 [2 per cell]
Al 0.5000 0.0000 0.1704 [2 per cell]
Al 0.5000 0.2437 0.4151 [4 per cell]
Fe 0.0000 0.2461 0.2551 [4 per cell]
Fe 0.2378 0.0000 0.3277 [4 per cell]



# 3
This entry pairs a crystal structure of ReTcPb2O6 with its theoretical powder diffraction line list. Radiation: Cu Kα, 1.54184 Å. Structure: a structure optimized by DFT (GGA-PBE).

Largest 12 diffraction maxima, in order of falling intensity, 2θ = 10–90°:
hkl  two_theta  intensity
2 2 0  31.49  1000
4 2 2  56.06  408
4 0 0  45.13  266
6 2 0  74.70  180
4 4 0  65.73  169
4 4 4  83.31  59
2 2 2  38.82  44
1 1 1  19.13  36
3 1 1  37.10  20
2 0 0  22.12  19
6 2 2  79.04  15
4 2 0  50.81  13

Cell and atoms:
a = 8.0364 Å, b = 8.0364 Å, c = 8.0364 Å
α = 90.00°, β = 90.00°, γ = 90.00°
Space group Fm-3m (No. 225)
Asymmetric unit:
Re 0.0000 0.0000 0.0000 [4 per cell]
Tc 0.0000 0.0000 0.5000 [4 per cell]
Pb 0.2500 0.2500 0.2500 [8 per cell]
O 0.0000 0.0000 0.2461 [24 per cell]

----------

1.
Structure and theoretical powder diffraction line list of Na8CrO6 (a DFT-relaxed cell (PBE+U, Alexandria); CuKα).
Intensities are scaled so that the largest is 100.

Top 12 peaks for 2θ from 15° to 90°, low angle first:
- 2θ = 16.03°, d 5.528, intensity 35, hkl 1 0 1
~~~

Bert expressed that he was very puzzled, as his space stone was very well-behaved.

"It's not the Time Stone that repels me, it's time itself that repels me," the Ancient One explained. "Time doesn't like being watched, and no one can have the Time Stone all the time."

Bert said, "That sounds a bit mysterious."

"Each Infinity Stone is extraordinary, Bert. You don't have to think about the other Infinity Stones and focus on absorbing the Space Stone," the Ancient One said. "A chance like yours is something that other people dream of. Once you completely absorb the Space Stone, you will become part of the universe. As long as the universe is alive, you will not die."

Bert nodded and said, "Okay, I'll focus on absorbing the Space Stone in the future."

Ancient One nodded in satisfaction and instructed, "You can't fight like this anymore. Doom, Mordo, you two go."

"Okay," Doom and Mordo both nodded. Mordo pointed to the front and sent thousands of monsters into his mirror space. This mirror space had been specially modified by Mordo so that no one else could enter or see it.

As soon as the monsters entered the mirror space, they were surrounded by thousands of voodoo corpses.

Mordo thought to himself, 'As long as the purpose is right, the process is not important. Unfortunately, the world is too ignorant, so no one can know about it.' It's worth mentioning that the monsters killed by the voodoo corpse become new voodoo corpses (like zombies), which is why Mordo doesn't mind injecting the voodoo corpse with the deadly version of the Extremis virus.

Seeing Mordo send thousands of monsters into the mirror space, Doom smiled and said, "I'll let you see my graduation work, the perfect crystallization of biotechnology and magic."

All the mages looked over in curiosity when they heard Doom's words. They wanted to know what exactly his graduation work was.

Doom didn't waste any time talking. He quickly cast spells with both hands, and a space magic circle appeared in front of him. Then, a large number of cockroaches the size of baby fists emerged from the magic circle and quickly crawled towards the monsters.

"Cockroaches?" The mages were shocked, and Kaecilius sneered, "Doom, your graduation project is just making cockroaches bigger?"

"Idiot," Doom replied with a disdainful smile. He didn't bother to explain further, and Kaecilius gritted his teeth in anger. This guy was really hateful.

Soon, the army of cockroaches and the army of monsters met. The monsters were very disdainful of the cockroaches and raised their feet to step on them.

The cockroaches flapped their wings, nimbly avoiding the big feet of the monsters, and then slammed into them.

Boom, boom, boom...

Intensive explosions sounded one after another. Despite their small size, those cockroaches were far more powerful than grenades, and a large number of monsters were blown to pieces.

The Hell commanders were shocked when they saw this and immediately ordered, "Balrog, destroy these cockroaches."

"Yes!" the Balrogs replied, before stepping forward and releasing flames to burn the army of cockroaches.

But to the horror of the monsters, the cockroaches were not afraid of fire, and their vitality was extremely tenacious. Even when beaten to death, they could still rush over and slam into the monsters.

### Between two parts of the page: data records
'''
Starting from a DFT-relaxed cell (PBE+U, the Materials Project), the X-ray diffraction stick pattern of FeP2H6NO8 was simulated for Cu Kα.
Peak positions follow from Bragg's law for the DFT cell and can differ from measured ones.

Peak list (6 most intense, 2θ = 10–90°, low angle first)
11.43°, rel. 98
13.40°, rel. 62
14.15°, rel. 100
28.00°, rel. 99
29.26°, rel. 62
32.94°, rel. 64

Structural model:
```
data_FeP2H6NO8
_symmetry_space_group_name_H-M 'P 1'
_symmetry_Int_Tables_number 1
_cell_length_a 7.216
_cell_length_b 8.831
_cell_length_c 9.637
_cell_angle_alpha 64.24
_cell_angle_beta 70.22
_cell_angle_gamma 70.02
loop_
_symmetry_equiv_pos_as_xyz
'x,y,z'
loop_
_atom_site_label
_atom_site_fract_x
_atom_site_fract_y
_atom_site_fract_z
_atom_site_occupancy
Fe1 0.000 0.000 0.000 1
Fe2 0.203 0.220 0.449 1
Fe3 0.797 0.780 0.551 1
P1 0.090 0.626 0.264 1
P2 0.090 0.844 0.721 1
P3 0.456 0.061 0.719 1
P4 0.544 0.939 0.281 1
P5 0.910 0.156 0.279 1
P6 0.910 0.374 0.736 1
H1 0.075 0.539 0.729 1
H2 0.265 0.961 0.208 1
H3 0.302 0.285 0.931 1
H4 0.338 0.471 0.912 1
H5 0.346 0.297 0.087 1
H6 0.387 0.571 0.440 1
H7 0.394 0.761 0.758 1
H8 0.458 0.373 0.525 1
H9 0.465 0.706 0.073 1
H10 0.535 0.294 0.927 1
H11 0.542 0.627 0.475 1
H12 0.606 0.239 0.242 1
H13 0.613 0.429 0.560 1
H14 0.654 0.703 0.913 1
H15 0.662 0.529 0.088 1
H16 0.698 0.715 0.069 1
H17 0.735 0.039 0.792 1
H18 0.925 0.461 0.271 1
N1 0.380 0.337 0.965 1
N2 0.500 0.500 0.500 1
N3 0.620 0.663 0.035 1
O1 0.016 0.259 0.311 1
O2 0.024 0.687 0.404 1
O3 0.056 0.087 0.148 1
O4 0.094 0.411 0.763 1
O5 0.170 0.765 0.109 1
O6 0.170 0.984 0.573 1
O7 0.255 0.456 0.297 1
O8 0.263 0.053 0.849 1
O9 0.279 0.703 0.787 1
O10 0.393 0.877 0.241 1
O11 0.414 0.206 0.559 1
O12 0.443 0.121 0.291 1
O13 0.557 0.879 0.709 1
O14 0.586 0.794 0.441 1
O15 0.607 0.123 0.759 1
O16 0.721 0.297 0.213 1
O17 0.737 0.947 0.151 1
O18 0.745 0.544 0.703 1
O19 0.830 0.016 0.427 1
O20 0.830 0.235 0.891 1
O21 0.906 0.589 0.237 1
O22 0.944 0.913 0.852 1
O23 0.976 0.313 0.596 1
O24 0.984 0.741 0.689 1
```
'''

"Why do you think I use cockroaches as a carrier for explosions? Their vitality is beyond imagination." Doom sneered. As for fire resistance, it was simpler: a modified version of the Extremis Virus.

As more and more cockroaches rushed out, the monsters suffered heavy losses. The monster commanders finally couldn't help themselves and used magic to kill a large number of the exploding cockroaches.

Doom smiled disdainfully, raised his hand, and an overwhelming explosion of cockroaches suddenly appeared from the pile of monster corpses, flying towards the monsters frantically.

These cockroaches could actually feed on the corpses of monsters and multiply rapidly.

Even the bravest of the monsters were frightened by the seemingly endless horde of exploding cockroaches and fled in terror. The insects covered the sky like a plague, and no matter how the commanders ordered their troops to stand their ground, they were eventually blown to pieces by the overwhelming numbers of the enemy.

"Don't retreat, kill them!" several commanders shouted at the front line. But as the army of cockroaches arrived, the commanders were quickly blown to pieces.

The expressions of the Hell lords were extremely ugly. Doom actually made so many cockroaches under their noses, which was like hitting them in the face.

"My exploding cockroaches have been working hard since the beginning, and the more you die, the more cockroaches I have."

Doom laughed: "Lords of hell, with me Doom, you will never want to step into the earth."

The Hell lords grit their teeth, and the earth has another guardian.

"Doom, well done."

Bert applauded loudly, Doom is Doom, and he did not let him down. This explosive cockroach is definitely a tool of war against the sky.

Different from Bert, the mage's expressions are quite complicated, with joy, doubt, and disgust - the explosion cockroach obviously used black magic, otherwise, it would not be possible to grow so fast.

At Kamar-Taj, the use of black magic is taboo.

Strange didn't care whether he used black magic or not. He looked at the exploding cockroaches, his scalp tingling: 'Isn't this bastard too strong? Can I really take revenge? Or, if nothing happened?'

Kaecilius shouted righteously: "Mordo, Doom uses black magic, don't you care?"

Mordo looked contemptuously at Kaecilius. He couldn't believe he hadn't realized how stupid Kaecilius was before. "That's right," he thought to himself. "I used to be just as stupid as him, so I didn't notice it. But now, I've become smarter, and Kaecilius remains the same."

Kaecilius was almost not angry with Mordo, but rather puzzled. Given Mordo's hatred of evil, why was he so calm?

Kaecilius sighed to himself, "Kamar-Taj is becoming more and more unfamiliar to me."

Doom glared coldly at Kaecilius and said slowly, "This battle is my graduation exam. When it's over, I'll leave Kamar-Taj."

The mages let out a sigh of relief at these words. They didn't want to stay with the Great Demon Doom at all.

The Ancient One said, "Okay, let's talk about it later. Let's deal with these monsters first."

"Yes, Sorcerer Supreme," all the mages nodded in agreement. While the army of monsters was distracted by the explosive cockroaches, they frantically released magic to kill the enemy.

The monsters of Hell were beaten to the ground. If it hadn't been for the lords personally taking charge, it's likely they would have fled.

Ancient One sighed. "Doom's talent is indeed extraordinary. If it weren't for his dark heart, he would be the most suitable candidate for Sorcerer Supreme."

"People who are not dark-hearted cannot create something like this," Bert said.

He smiled and continued, "It's worth my support for him."

Ancient One asked, "You supported him?"

Bert replied, "Of course. The funds alone cost billions, and I also gave him the dragon heart of the extraordinary dragon."

Ancient One asked, "You don't seem like someone who would engage in a loss-making business."

Bert replied, "No loss. Billions of dollars plus a dragon heart in exchange for Doom's shot is a big profit. Eventually, he will become a demon."

"It's really worth it," the Ancient One said, nodding in agreement.

At this time, the Hell lords on the opposite side finally couldn't help but take action. One of them, a demon dragon leader, opened its mouth and sprayed dragon breath that burned everything towards the army of explosive cockroaches.

Bert held out one of his hands and a huge space door suddenly appeared in front of the dragon breath. The dragon's breath flew into it and disappeared.

The next moment, the dragon breath appeared from above the monsters, instantly destroying a large number of them. "Master, it's our turn," Bert said.

Immediately afterwards, Bert raised his hand and pointed to the sky. The previously dark sky suddenly became filled with bolts of lightning roaming around. Then, thousands of thunderbolts bombarded down at the same time, like a catastrophe.

Bert had secretly brewed the lightning in the mirror space, waiting for an opportunity to use the lightning ring, one of the Ten Rings.

The Hell lords were shocked and hurried to intercept the thunderbolts, but because they were a step slower, many of them slipped through the net and fell below, killing a large number of monsters.

Bert sneered, "Lords of hell, is that all you've got?"

The Hell lords were furious and one of them shouted, "A mere vampire's projection dares to speak to us like this?"

Bert looked provocative and replied, "Aren't you also just a projection? If you have the ability, bring your real body over!"

Although the Hell lords kept cursing, none of them sent their real bodies over.

"What a joke," the Hell lords thought. 'The opposite is the Ancient One. Who dares to use their real body? Aren't you afraid of falling down?'

"Stop talking nonsense. Let's get this show on the road," one of the Hell lords said.

The Ancient One flew into the sky. Bert immediately followed, and the Hell lords looked at each other before flying up one after another.

"We can only do this once. In any case, we must defeat the Ancient One and enter Earth!" the Hell lords thought to themselves.

They only cared about defeating the Ancient One and paid no attention to the Blood God. The Blood God may be strong in the future, but for now, he was still far from it.

Ancient One waved her hand to cut off the space and shouted, "Who will die first?"

Lucifer snorted coldly with a group of Hell lords, "Ancient One, you've been arrogant for too many years. It's time to pay the price."

Bert touched his nose and thought to himself, "Master, this group really knows how to ridicule."

The Hell lords were not unexpectedly provoked and Lucifer said angrily, "Ancient One, do you think you are still the same as before? Your current strength is not even half of what it used to be."

Ancient One replied, "To clean up you, half of my strength is enough."

She quickly cast a spell and figures emerged from her body, looking at the Hell lords coldly.

This was not the power of the Time Stone, but rather a magic that the Ancient One had mastered. With her level of accomplishment, she could create twelve clones with the same strength as her.

In "Avengers: Infinity War," Doctor Strange used a similar magic, but those clones would dissipate as soon as they were touched.

Without further ado, the thirteen Ancient Ones all moved against the Hell lords.

Even as one and with only half of her strength remaining, she still dared to take the initiative to attack. This was the Ancient One - the one who guarded the Earth for hundreds of years, causing the demons to grit their teeth with hatred but remain helpless against her.